Last week we offered a couple of ‘thought’ articles to fuel some of your kingdom conversations during any given week. We focused particularly on a clearer picture of heaven and asked ourselves the question, ‘Are we fighting the wrong battles with the wrong weapons?’ This week’s message and outworked study resources initiate some reflection on getting a clearer picture of how Jesus describes hell which we think is timely. If the world around us is struggling to find an appropriate way to understand heaven, I will guarantee that hell isn’t just a foggy image, it’s gone missing from our conversations. It is either not considered ‘PC’ or has been subsumed by the picture of heaven idea that replaces the imperative of human beings cultivating a relationship with Jesus, with living a life of ‘reasonableness’ because we it now seems we are all going to encounter a positive after life. We here at CCC are happier to trust Father God, the creator of heaven and earth with what happens after we play our ‘temporary’ part in this world and focus INTENTIONALLY on what that temporary life ON earth should/could look like in the BIG picture that is God’s primary purpose. Check out the study material in this week’s message at the end of this edition of ‘Rising HOPE’ so you can agree/disagree, argue with God, with yourself, with partners in life and mission or NOT, as you join us in seeking God’s truth for life ON earth. Graeme’s attempt to provide tools that he and his mentor Brian Medway have spent years together trying to hear from God about and actually road test in everyday life, is simply ‘one’ effort to DWELL in the actual revelation that Jesus brought and not be continually distracted by the knowledge we think we know without challenging it. We encourage you to use the stepping stones to hear from God for yourself, individually and more importantly, together as His body. In this important ‘Think Tank’ season, we as a church family are working together on forming a NEW leadership development process that can ACTUALLY address the issues related to the developing mission that God has given us responsibility for, that is in terms of playing OUR part in the work the Holy Spirit is already doing to advance God’s kingdom alongside the rest of the body of Christ in our region. We have a unique part to play and we believe there is mounting evidence that God is (and has been) building a team amongst us and in partnership with us who are submitting to Jesus as the leader and stepping into their callings/anointing’s right now!!! These weekly study materials are simply providing a resource library for the campaign that has begun …. An invasion force of HOPE, (i.e. a team of people governed by Jesus’ compassion, serving humility, unconditional and rescuing love for others’ to reach their full potential IN Christ focus, communion with God and each other); infiltrating the spheres of involvement and influence that God has given each one of us; spheres that are to be engaged by the body of Christ, together as one much more heaven looking instrument or access point. Signs of the Times Thanks to John Podmore for organizing his (our) friends at TAFE to once again update our street signage on the front verge of the Augusta Street Hub. John Mac did the foundational art lay out which was a challenging task because of our desire to provide more useful information to the neighbourhood. We had to make a decision that passing vehicular traffic doesn’t have time to read the information anyway BUT people walking by or stopping can get enough detail to make accessibility and engagement eminently more possible than before. Add to all of that, we wanted to include the new logo for our mission which indicates our primary purpose AND the current Baptist Association NSW/ACT logo also. Never a Trivial Pursuit Please join our table(s) THIS COMING Saturday evening the 23rd June from 6.30pm out at C3 Centre in Thirroul for a night of Trivia, silent auctions, coffee and dessert FUN! CONTACT Heather via ASAP if you’d like to be a part of our support team. This is the annual Trivia night fundraiser for supporting our High School Scripture teachers at Bulli, Woonona and Corrimal. It is an irony of course as the pursuit to provide quality scripture teaching to establish a solid foundation for high students to explore an authentic daily faith journey in Christ is NEVER trivial. We are in this up to our necks; this is a recognized part of our consistent targeted mission effort. As you know, Graeme is the Chair of this combined Northern Illawarra Churches Board and Julie is our church’s delegated member on the board. We want to be part of God’s solution to arrest the attrition of over 50K young adults who reputedly abandon their faith every year in Australia. This is a discipleship and equipping leadership issue for the church as a whole and we have work to prioritize and DO in order to play our unique part in that. Just this week God challenged us in prayer to seek a Holy Spirit led intervention into the battle going on around our Bulli High School scripture teacher, the wonderful Clara. Please pray with us as we listen carefully and act accordingly. Please pray specifically for the Board who meets tonight in Bulli (Monday 18th) to discuss this and other important issues related to ensuring a consistent and appropriate provision of scripture teaching in this challenging season. Thank you! A Summary of last Sunday’s message for Prayer, Reflection & Response. Signpost: See & Engage the Harvest Series: ‘The HOPE Project Trek from Base Camp to Camp One’ Theme: ‘Tools for the Climb: God’s Weapon to Conquer Hell’s Gates (The Essential Function of Church)’ – (studies in ‘the Church that Jesus builds’ by Brian Medway & Graeme Hush) Reference Scriptures = Matthew 16: 13ff, Luke 4, 5, 9, 10; Ephesians 3 & 4 The ESSENTIAL function of the church is To Withstand & Conquer the Gates of Hell Our growing understanding that the body of Christ is God’s primary weapon for establishing the kingdom of heaven OR God’s rule on the earth (in the hearts of people wherever they are), is found IN Christ. God sent Jesus to build His body, the church, ON the revelation that He is the Christ, the son of the living God (i.e. heaven ON earth). Let’s look again at Matt. 16:13ff Matthew 16 is the only place Jesus actually talks about the nature and function of the church. As has been quoted in a number of articles about functionality, an appropriate question could be, ‘if a can opener no longer opens cans (its function), is it still a can opener?’ We need to be sure that what WE call church is actually doing the work that Jesus INTENDED for what HE called church. Jesus invented something during the three years he was in ministry on this earth. He said he was going to build ‘my’ church. The word had never been used like that before. The Greek word simply refers to people who assemble together for a common purpose, particularly for civic meetings. We don’t have to worry about what the Greek word means because when Jesus talks about the church in Matthew 16, he says some very specific things in the context of that conversation with his disciples which we should take notice of. The phrase I would like you to look at is in verse 18 “ and the gates of Hades/Hell will not overcome it.” The historical context must demand that gates in the way Jesus refers to them are the gates of a city. In ancient times city gates referenced at least three things: HADES/HELL isn’t a locational context; it identifies the forces that wage war against the church. When the church goes to do its job of establishing the kingdom rule of Jesus Christ in a given situation, its advance will be contested; as was true for the ministry of Jesus & for the early church. Jesus is using words and phrases here that describe the fact that when the church is confronted by the gates or strongholds (‘cities’) that represent the powers of darkness, it is the church that has been given the appropriate power to deal with them because the church represents ‘the tangible representation of God’s presence/heart on the earth’ (last week’s study) i.e. the fullness of Christ (Eph 3 & 4). In other words, the church is a weapon invented by Jesus to overcome the resistance at the gates of the strong walled cities that represent the power that is preventing a people group realizing their God ordained destiny. WILL NOT OVERCOME / PREVAIL The important thing here is to see which way the action is going. The only way that makes sense of the words is to see the church outside the gates of hell as the deliverer and the gates being the point of resistance. In any case it surely means that the church is too strong for the gates of hell. (Church = Christ crucified AND resurrected) The church (Christ’s body) is God’s GATE-CRASHING weapon In short, this text sets up the strategic plan for the church. Churches have been invented by God to withstand AND crash down the resistance at the gates that open people up to the strongholds of hell. Wherever the church is functioning, the territory governed by the powers of darkness will be broken/defeated. So, determine where the gates of hell are & park the church next door. If it is true that the church is a “gate conquering” weapon in God’s purpose to establish his kingdom rule on the earth, we should be able to clearly see it happening in the ministry of Jesus and the early church. Here are a few samples from Luke’s gospel, but I hope they prompt you to think of others. * It is worthy to note that the very stronghold that Satan challenged Jesus on FIRST in the wilderness episode, is the revelation given to Peter in Matthew 16 that was the ROCK on which Jesus builds His church. The above table gives us a few quick reference examples of the body of Christ being the weapon which conquers the gates to the strongholds of hell. Another table that I’ve previously aired and do so regularly in workshops where kingdom of heaven truth is needed to be presented follows and the reason I’ve included it is to emphasise the traits of the body of Christ as defined by the kingdom and how these obviously challenge, indeed overcome the strongholds that form the kingdom of this world. Some review questions you can use to equip or sharpen each other as you learn how to engage in kingdom conversations in YOUR spheres of involvement OR patches ON earth as in heaven. To deal with this question fully, seek clarity from the Holy Spirit and use the following as a guide i. Write down the sphere you are identifying. ii. Looking at the left side of the Kingdom table, use the things listed and others you can think of to describe how your identified sphere operates now iii. Using your written reflections about the sphere, write down what the Kingdom of Heaven version of your list would look like in comparison to the way it operates now – just like the above table iv. Pray for the Holy Spirit to help you discern ways to respond to help move the way the sphere is to the way it would look if the kingdom of heaven came fully to it (like in the Luke examples table) v. Ask God to show you a strategic prayer and action plan, and maybe another person in the sphere you’ve identified, that together you might represent and demonstrate the kingdom of heaven towards making a life transforming difference vi. Be sure to journal and share with a trusted mission partner. Maybe share prayer points via email or text with Graeme or Julie so they can partner with you in prayer at the corporate prayer times on Tuesdays from 5.30pm. Here’s the Link to the home page for all that’s happening at the HUB KAREN WILL HEADLINE THIS YEAR’S ‘CAROLS ON THE LAWN’ AND AMBER HAS AGREED TO PARTY WITH US TOO! MORE SURPRISES TO BE CONFIRMED SOON
Details of Gate Encounter
Direct encounter with Satan
The lie that Jesus was Son of God **
Using the living written word of God properly
Opposition to Jesus in His home town
The lie that Jesus had the authority to challenge them in the Way He did
Jesus was able to invoke the power of the kingdom of heaven to walk through them
Opposition from the Religious leaders
• Inserted here: molecular data:
No. 1
ORCA calculation (ωB97M-V/def2-TZVPD) on C22H34N2O6P2Pd as an isolated structure.

Last column: natural (NBO) charge in e.
Element x y z (Å)
P -1.59354 2.31375 -1.85136  1.136
P 0.77303 1.06064 -3.58533  1.353
C -0.47026 3.36062 -2.94234  -0.749
C -0.10820 2.55104 -4.17662  -0.699
H 0.40031 3.75850 -2.38759  0.266
H -1.09521 4.21381 -3.20834  0.268
H -1.00020 2.17250 -4.70708  0.228
H 0.54597 3.08737 -4.87005  0.296
C 2.46769 1.80860 -3.49476  -0.952
H 3.18928 1.21289 -2.92349  0.262
H 2.45275 2.81468 -3.06267  0.248
H 2.87472 1.90921 -4.51774  0.257
C 1.11480 -0.06134 -4.96988  -0.958
H 1.84061 0.39703 -5.66056  0.288
H 0.20171 -0.25957 -5.53964  0.260
H 1.54117 -1.01554 -4.63346  0.288
C -1.86783 3.54164 -0.48959  -0.937
H -2.51475 3.08345 0.26729  0.271
H -2.39518 4.37969 -0.95234  0.257
H -0.95896 3.93464 -0.01206  0.270
C -3.15384 2.56507 -2.77151  -1.119
H -3.06373 2.98891 -3.77495  0.281
H -3.63327 3.27329 -2.08095  0.329
H -3.90657 1.72017 -2.73493  0.286
Pd -2.37408 0.67025 -3.22311  0.635
C 2.67156 -0.53985 0.83697  -0.165
C 3.28822 0.67008 0.46449  -0.128
C 2.65210 1.92325 0.04599  -0.459
C 1.13648 1.87729 0.37929  -0.525
C 0.39760 1.09964 -0.60799  -0.065
C 0.81023 0.24742 -1.72156  -0.443
C 1.68785 -0.98927 -1.43583  -0.457
C 1.84586 -1.26569 0.01936  -0.273
C -2.98387 -0.12730 -1.29870  -0.822
H 2.78974 -0.85631 1.87159  0.253
H 4.37084 0.68892 0.56433  0.224
H 2.79686 2.12407 -1.02636  0.208
H 3.08531 2.79713 0.54710  0.256
H 0.99817 1.40824 1.38278  0.300
H 0.74146 2.91699 0.46081  0.237
H -0.55479 0.69540 -0.16592  0.200
H -0.10758 -0.26689 -2.07087  0.222
H 2.66402 -0.95260 -1.97363  0.241
H 1.09980 -1.85169 -1.81919  0.236
H -0.31346 -1.12691 0.86945  0.489
H 1.49066 -2.21719 0.39623  0.237
H -2.96960 -1.21609 -1.49668  0.241
H -4.01070 0.23880 -1.30258  0.211
H -2.44152 0.08083 -0.37822  0.199
O 0.56014 -0.41330 2.90679  -0.590
C -0.10769 -1.41251 2.71996  0.794
O -0.75190 -1.68970 1.54463  -0.696
C -0.30972 -2.51394 3.71228  -0.212
C -1.39604 -3.38480 3.62789  -0.052
C -1.68711 -4.21551 4.72211  0.001
C -0.83069 -4.31449 5.82497  -0.102
C 0.35326 -3.55863 5.82607  0.027
C 0.62222 -2.66004 4.76488  -0.088
N 1.27823 -3.64319 6.91212  0.488
O 1.00674 -4.38177 7.88308  -0.329
O 2.33419 -2.97331 6.85406  -0.355
N -2.95468 -4.91482 4.75041  0.496
O -3.66453 -4.85571 3.72023  -0.367
O -3.28783 -5.53110 5.78414  -0.326
H -2.04013 -3.35969 2.76068  0.258
H -1.06395 -4.96437 6.66507  0.298
H 1.52784 -2.05268 4.78284  0.270

Calculated values
Lowest unoccupied orbital energy (alpha / beta) (Eh): -0.28092 / -0.34906
Total charge: +2
Strongest force on any atom (Eh/bohr): 0.09528
<S²>: 6.0274
2S+1: 5
DFT total energy (hartree): -2229.11158

No. 2
ORCA calculation (ωB97M-V/def2-TZVPD) on C22H35AuNO2P as an isolated structure.

Last column: natural (NBO) charge in e.
Element x y z (Å)
Au -0.70462 0.07244 0.31815  0.655
C -3.75765 -1.00923 -1.65504  -0.256
O -3.25193 -0.03917 -0.73202  -0.568
C -4.07567 0.12056 0.42827  -0.106
The lie that Jesus had the authority to forgive sins
Jesus demonstrated His Authority by healing the lame man
His disciples
Unbelief: they couldn’t Cast out the demon
Rebuked unbelief & cast out the demon
Seventy sent out
What comes next are records of molecules, not part of the article =
<<<
ORCA calculation (ωB97M-V/def2-TZVPD) on a single C7H6ClNO2S molecule in a non-equilibrium geometry.

Summary:
energy relative to the best compared isomer or geometry (same formula, charge and spin)	103.7	kJ/mol
highest occupied orbital energy	-9.08	eV
lowest unoccupied orbital energy	-0.99	eV
strongest force on any atom	5.0	eV Å⁻¹
molar mass	203.650	u

Last column: Löwdin charge in e.
Geometry (Å):
C 0.65662 -1.35630 0.64711  0.0156
C 0.86770 -0.03949 0.94688  -0.2015
C 0.07277 1.12174 0.22950  -0.4016
C -0.81531 0.63718 -0.84176  -0.3911
C 1.52459 0.25061 2.18979  -0.7881
C -0.32359 -1.72862 -0.44529  -0.1669
C -0.24887 -0.64425 -1.53260  -0.1009
N -1.79685 1.35870 -1.23149  0.1446
O 2.48877 -0.28080 2.64629  0.0685
O -0.80619 3.34397 -0.40369  -0.5149
S 0.22031 2.75385 0.41616  0.9661
Cl 0.88382 1.64037 3.07091  0.6866
H 0.95790 -2.18145 1.32084  0.1398
H -0.00352 -2.77470 -0.85539  0.1504
H -1.27262 -1.82983 -0.09349  0.0844
H -0.97932 -0.74174 -2.34439  0.1179
H 0.79646 -0.45235 -1.63799  0.1130
H -2.22266 0.92311 -2.08136  0.0782

---

ORCA calculation (ωB97M-V/def2-TZVPD) on a molecular structure, C7H6F12N2O11RbS4 in a non-equilibrium geometry.

Summary:
energy relative to the best compared isomer or geometry (same formula, charge and spin)	56.4	kJ/mol
total charge	-1
highest occupied orbital energy	-7.34	eV
lowest unoccupied orbital energy	1.82	eV
strongest force on any atom	10.1	eV Å⁻¹
molar mass	735.840	u

Last column: Löwdin charge in e.
Geometry (Å):
Rb 0.47530 -0.06576 -0.31500  0.9384
C 0.60182 -0.65590 -4.45064  -0.5742
F 0.34497 -0.27103 -5.72075  0.1434
F 1.32517 -1.78193 -4.47439  0.1262
F 1.24913 0.24799 -3.69085  0.1061
S -1.06768 -1.02071 -3.46684  0.6541
O -1.46025 0.28534 -3.05785  -0.3172
O -1.99345 -1.63980 -4.42076  -0.2879
N -0.62401 -1.86036 -2.02722  -0.4586
S -1.14495 -3.23816 -2.26692  0.5791
O -2.56713 -3.46136 -1.87195  -0.3376
O -0.72942 -3.95027 -3.55026  -0.3459
C -0.27625 -4.17197 -0.74002  -0.6364
F 1.01696 -3.83590 -0.77752  0.1162
F -0.88149 -3.67106 0.36183  0.0934
F -0.49746 -5.45838 -0.74841  0.1724
C 4.20315 1.87132 -0.70018  -0.6947
F 5.02348 2.05651 -1.74127  0.1444
F 3.88679 0.58042 -0.70362  0.1209
F 4.85497 2.18326 0.35760  0.1830
S 2.65600 3.03332 -0.77077  0.7062
O 3.22202 4.38787 -0.88047  -0.2873
O 2.12770 2.66468 -2.09391  -0.3318
N 1.64379 2.54916 0.55205  -0.3736
S 1.56229 3.79799 1.35810  0.4630
O 2.81877 3.97708 2.07486  -0.3124
O 1.13492 5.00855 0.74718  -0.2812
C 0.27497 3.45648 2.72923  -0.6446
F -0.94819 3.12861 2.31980  0.1377
F 0.78180 2.44383 3.50241  0.0780
F 0.20363 4.49491 3.51640  0.1621
C -3.47452 -1.33556 0.50168  -0.0351
O -3.48116 -1.00170 1.86748  -0.0192
C -2.32623 -0.70014 2.55065  -0.4359
O -1.28006 -0.47753 1.93781  -0.0201
O -2.42601 -0.84832 3.95638  -0.0110
C -1.25940 -0.59698 4.72916  -0.0641
H -3.48016 -0.44333 -0.12441  0.1069
H -4.34445 -1.97449 0.34970  0.1108
H -2.52475 -1.82883 0.29496  0.0590
H -1.43551 -0.30601 5.76474  0.0953
>>>
Here the article continues =
Sickness & Demon possession
Satan falls at Jesus’ authority IN them
== Calculated molecules that have nothing to do with the article ==
'''
The following is a quantum chemistry calculation of a structure of composition C38H35ClN2ReSi2 at a distorted geometry, from the Open Molecules 2025 dataset.

The calculation puts the maximum force at 8.976 eV/Å. Its spin multiplicity is 4. As for the net charge: +2. The energy above the lowest of the compared OMol25 structures with the same formula, charge and spin comes out at 28.6 kJ/mol.

Each line ends with the Mulliken spin population.
Cartesian coordinates (Å):
Re: -0.71143 2.55357 1.78074  1.80
Cl: -1.78905 1.18319 0.04325  0.06
Si: 2.31554 -2.10041 -1.60809  0.07
Si: 0.07258 -0.93311 -1.25503  0.29
N: -2.84894 3.33135 1.80963  0.00
N: -1.93457 1.09491 2.97715  0.02
C: 2.32355 0.81024 -0.77873  0.04
C: -0.46827 -3.32525 2.04989  -0.01
C: 1.92903 -1.03309 -4.22523  0.04
C: 1.35200 2.73047 1.84048  0.25
C: 0.80242 3.69022 0.92281  0.02
C: 3.79405 -2.55853 -4.05390  0.00
C: -3.70473 2.70985 2.66934  0.02
C: 1.74182 -6.02583 -0.33521  0.00
C: 3.23001 1.78542 -1.21427  -0.02
C: 2.18469 -0.85775 -5.58789  0.00
C: 1.07869 -1.60307 2.75410  0.02
C: 0.44686 -2.83081 2.98308  0.03
C: 2.81724 2.76727 -2.11263  0.04
C: 0.03731 -1.48110 0.55897  0.02
C: 0.78259 -6.49169 -1.23993  0.09
C: 1.81211 -3.89519 -1.48955  0.09
C: -0.10758 4.52917 1.64770  -0.10
C: -5.92820 2.30928 3.57347  0.00
C: 4.03324 -2.41109 -5.42640  0.01
C: 3.23964 -1.54712 -6.19664  0.00
C: -4.66741 4.51777 0.82045  0.00
C: -3.24521 1.57080 3.35323  -0.01
C: -4.06408 0.86353 4.21074  0.00
C: 0.81016 -0.89774 1.58027  0.06
C: -0.68041 -2.65360 0.84751  0.04
C: -5.56600 3.94830 1.70627  0.00
C: 2.27144 -4.73800 -0.46867  0.03
C: -5.40975 1.27726 4.35048  0.00
C: -5.09720 3.03691 2.67293  0.00
C: 0.80187 2.98894 3.13865  -0.11
C: 0.88628 -4.38430 -2.42763  0.08
C: 1.05737 0.69078 -1.38955  0.06
C: 2.73369 -1.87031 -3.43501  0.05
C: -3.30658 4.21365 0.91443  0.00
C: 0.35472 -5.67077 -2.28712  -0.04
C: 0.61863 1.74592 -2.20861  0.05
C: -0.10133 4.10131 3.02883  -0.05
C: 1.49671 2.76791 -2.58205  0.00
H: 0.56863 -3.75394 -3.26513  0.00
H: -1.99762 0.29724 2.33229  0.01
H: -1.36776 -3.06459 0.10568  0.00
H: 2.09154 -6.67250 0.46774  0.00
H: -0.99263 -4.26252 2.23759  0.00
H: 0.39254 -7.50784 -1.15592  0.00
H: 3.53303 3.51512 -2.46236  0.00
H: 1.09239 -0.49100 -3.77935  0.00
H: -0.39886 1.74057 -2.59258  0.00
H: 1.06104 3.78438 -0.12108  0.02
H: 4.84916 -2.95624 -5.90419  0.00
H: 3.46421 -1.82381 -0.72121  0.01
H: 3.04508 -4.37951 0.20995  0.00
H: -6.63395 4.16328 1.66429  0.00
H: -3.68145 0.01036 4.77076  0.00
H: 1.80541 -1.20292 3.47123  0.00
H: 3.44150 -1.40447 -7.26271  0.00
H: -6.06324 0.75496 5.05233  0.00
H: 1.55796 -0.17568 -6.17102  0.00
H: -2.57276 4.65476 0.23501  0.00
H: -1.40201 0.74386 3.77230  0.01
H: -0.63633 4.56520 3.84667  0.01
H: 1.16643 3.53033 -3.28666  0.00
H: 4.27040 1.71830 -0.88624  0.00
H: -0.37844 -6.02499 -3.01439  0.00
H: -1.26944 -0.87532 -1.84916  0.01
H: 4.43972 -3.21283 -3.46591  0.00
H: 2.12397 2.01678 1.60837  0.02
H: -4.97963 5.20433 0.04079  0.00
'''
== Here the article continues ==
Kingdom of this world
Kingdom of God / Heaven
Others (deny self)
Led by human knowledge & experience
Led by the Holy Spirit
Position / Status
Humble Service
Power over / control / bullying
Power under / lifting up / empowering
Tolerance (unity for my benefit)
Oneness (unity that releases heaven’s Resources for the benefit of ALL
Cold on the outside, but the Spreading Conflagration starts inside transformed lives